• Work order:
It remains to count the lines underneath that contain the word "spin" and give the number alone.

• Data:
~~~
Entry 1:
DFT (wB97M-V/def2-TZVPD) results for a molecular structure, C27H28N6O4S.

Structure (XYZ):
```
66
Properties=species:S:1:pos:R:3:forces:R:3
S -0.0813 2.0121 -2.4947 0.43 0.11 0.16
O 3.0659 -1.9643 -0.7094 -0.04 -0.08 0.31
O -1.2162 -2.8893 0.2793 -0.34 -0.30 -0.13
O 1.2602 0.6448 0.9727 0.07 0.12 -0.13
O 4.3914 3.7391 -2.1679 0.11 -0.04 0.19
N 3.2977 4.1776 -4.0995 0.03 0.11 -0.20
N 1.1203 2.8345 -3.1970 0.34 0.13 -0.16
N -0.4691 0.9693 4.3932 0.05 0.37 0.19
N 0.7654 -2.0581 0.9905 0.40 0.02 -0.04
N -0.8434 0.3901 0.1707 -0.16 -0.14 0.23
N 2.9922 2.3899 -0.1816 0.46 -0.09 0.32
C 0.7780 1.7585 -1.0044 0.18 0.40 -0.69
C 1.3875 -1.5817 -2.3017 0.22 -0.02 0.12
C 0.4089 0.9124 0.1187 0.29 0.02 0.07
C -4.0081 1.5865 -2.3266 0.03 0.03 0.04
C -0.8758 -2.5187 3.8299 0.01 -0.03 0.09
C -5.1224 2.0179 -3.2284 0.04 0.02 -0.06
C -3.4143 2.4897 -1.4525 -0.02 -0.05 -0.01
C -2.3693 2.1040 -0.6361 -0.07 -0.21 0.14
C -0.8831 -0.2457 2.5596 -0.18 0.38 0.09
C -0.7659 -1.1363 3.6727 0.03 0.31 0.35
C -1.8906 0.7988 -0.6907 -0.40 0.23 -0.23
C 3.3896 3.6567 -2.8608 0.11 0.27 -0.45
C -0.7035 1.0156 3.0481 -0.21 -0.24 -0.31
C 1.2775 -3.0420 -1.8664 0.10 0.06 0.02
C -0.4217 -2.2460 6.1925 0.03 0.11 0.13
C -1.1965 -0.6423 1.1494 0.00 -0.22 0.34
C 2.0420 2.3511 -1.1216 -0.70 -0.11 0.05
C -0.3190 -0.8778 6.0700 0.03 0.01 0.10
C -2.4892 -0.1188 -1.5459 0.11 0.08 0.04
C -0.5481 -1.9891 0.7572 -0.02 0.43 0.14
C 2.2571 -3.1343 -0.6798 -0.26 -0.43 0.30
C 1.5535 -3.2257 0.6868 0.31 -0.15 -0.39
C -0.7007 -3.0535 5.0860 -0.03 -0.20 -0.09
C -3.5353 0.2800 -2.3559 0.01 0.04 0.03
C 2.1664 2.9646 -2.4092 -0.54 -0.38 0.18
C -0.4961 -0.3307 4.8054 -0.08 -0.58 -0.08
C 2.8254 -1.2556 -1.9057 -0.06 0.21 -0.38
H -0.2897 -2.7062 7.1605 0.01 -0.02 0.08
H -0.2697 1.7641 4.9757 -0.02 -0.10 -0.08
H -1.9155 2.8094 0.0444 0.06 0.06 0.07
H 2.3098 -3.3376 1.4669 -0.06 -0.05 -0.01
H -2.1402 -1.1403 -1.5639 0.08 -0.14 0.02
H -0.7821 -4.1211 5.2270 -0.01 -0.09 -0.01
H 3.5232 -1.5911 -2.6881 -0.05 0.06 0.04
H 0.8912 -4.0948 0.6873 0.12 0.02 0.06
H -0.7177 1.9556 2.5308 0.06 0.14 -0.10
H 0.2686 -3.3167 -1.5692 -0.02 -0.06 -0.02
H -1.1018 -3.1534 2.9875 -0.03 -0.12 -0.08
H 2.8767 1.7785 0.6146 0.03 0.08 -0.11
H 1.2555 -1.2100 1.2612 -0.22 -0.10 0.03
H -2.2798 -0.7948 1.0512 0.33 -0.06 -0.07
H -3.9930 -0.4376 -3.0205 -0.06 -0.08 -0.07
H 4.0866 4.6548 -4.5008 -0.03 -0.05 0.08
H -0.1107 -0.2498 6.9239 0.02 0.03 0.10
H -4.7124 2.3966 -4.1651 -0.06 0.04 -0.08
H 3.8887 2.7684 -0.4563 -0.09 -0.05 0.06
H -3.7800 3.5049 -1.4045 -0.04 0.11 0.00
H -5.7068 2.8130 -2.7717 -0.08 0.04 -0.01
H 2.4477 4.0576 -4.6226 0.01 0.01 -0.03
H 1.2038 -1.4337 -3.3635 -0.04 0.05 -0.05
H -5.7791 1.1834 -3.4615 -0.08 -0.01 -0.04
H 3.0010 -0.1969 -1.7075 0.01 -0.02 -0.03
H 0.6919 -0.9640 -1.7342 -0.03 0.04 -0.02
H 1.5993 -3.7033 -2.6713 0.00 -0.02 -0.01
H 2.9053 -4.0185 -0.7774 -0.09 0.11 0.01
```
Forces are in eV/Å.

Summary:
- net charge = 0
- Kohn-Sham gap (eV) = 7.632
- relative energy (zero: lowest compared OMol25 entry of this formula, charge and spin) (kcal/mol) = 5.0

***

Entry 2:
DFT (wB97M-V/def2-TZVPD) results for a molecular structure, C22H41I3MgNO2 at a distorted geometry.

Structure (XYZ):
```
70
Properties=species:S:1:pos:R:3:forces:R:3
I 3.5594 1.8431 -1.1292 -0.84 0.46 0.21
I 0.9509 5.6841 -1.0096 -0.14 -0.62 -0.67
I 5.7776 0.8187 -3.1113 0.21 0.01 -1.61
Mg 6.3418 0.1981 -6.6828 0.75 -0.39 0.28
O -1.3673 2.6205 -5.1795 6.25 -0.61 1.84
O 0.8531 2.9655 -5.8181 -1.14 -1.32 3.12
N 1.7823 1.4045 -3.6478 1.24 0.88 1.86
C -2.0591 -2.4233 6.8049 0.77 1.18 -0.01
C 1.4063 -0.8101 -2.2896 0.05 -1.18 -0.18
C -0.0293 -2.9095 -1.4353 -1.27 1.29 -0.33
C -3.3971 -1.0458 4.9865 0.45 -0.12 -0.16
C -0.6761 -1.9328 -0.3303 0.96 -0.56 0.29
C -1.7790 -1.5252 1.9799 -1.05 -0.05 -1.17
C -0.9014 -2.2753 7.9412 -0.60 -0.63 -0.81
C 0.2242 4.5101 -2.7452 -0.74 -0.28 -0.47
C -1.2045 5.1235 -3.1845 -0.56 0.54 0.14
C 1.9685 -0.0491 -3.5916 -0.18 -1.91 -0.83
C -1.4132 -2.6820 0.8813 0.44 0.98 0.45
~~~

• Solution:
1